Source:
~~~
[1]
Diffraction record for CsGeI3. The powder diffractogram is simulated, not measured: it uses a crystal structure in the Materials Project, relaxed with GGA-PBE and Cu Kα (λ = 1.5418 Å).
Peak positions follow from Bragg's law for the DFT cell and can differ from measured ones.

Cell and atoms:
```
CsGeI3
1.0
4.254 2.456 3.615
-4.254 2.456 3.615
0.000 -4.913 3.615
Cs Ge I
1 1 3
Direct
0.000 0.000 0.000 Cs
0.468 0.468 0.468 Ge
0.011 0.504 0.504 I
0.504 0.011 0.504 I
0.504 0.504 0.011 I
```

Top 10 peaks for 5° ≤ 2θ ≤ 70°, sorted by position:
- 2θ = 24.6°, rel. 32
- 2θ = 25.5°, rel. 81
- 2θ = 29.3°, rel. 100
- 2θ = 41.3°, rel. 36
- 2θ = 42.5°, rel. 37
- 2θ = 48.7°, rel. 17
- 2θ = 49.7°, rel. 27
- 2θ = 52.5°, rel. 19
- 2θ = 68.1°, rel. 14
- 2θ = 69.7°, rel. 16

[2]
Diffraction record for ZnGa2S4. The powder diffractogram is simulated, not measured: it uses a crystal structure in the Materials Project, relaxed with GGA-PBE and Cu Kα (λ = 1.5418 Å).
Peak positions follow from Bragg's law for the DFT cell and can differ from measured ones.

Cell and atoms:
```
ZnGa2S4
1.0
0.000 5.106 5.106
5.106 0.000 5.106
5.106 5.106 0.000
Zn Ga S
2 4 8
Direct
0.125 0.125 0.125 Zn
0.875 0.875 0.875 Zn
0.000 0.500 0.500 Ga
0.500 0.000 0.500 Ga
0.500 0.500 0.000 Ga
0.500 0.500 0.500 Ga
0.259 0.259 0.259 S
0.259 0.259 0.724 S
0.259 0.724 0.259 S
0.276 0.741 0.741 S
0.724 0.259 0.259 S
0.741 0.276 0.741 S
0.741 0.741 0.276 S
0.741 0.741 0.741 S
```

Top 10 peaks for 5° ≤ 2θ ≤ 70°, sorted by position:
- 2θ = 15.0°, rel. 13
- 2θ = 24.7°, rel. 28
- 2θ = 29.0°, rel. 100
- 2θ = 35.2°, rel. 43
- 2θ = 43.4°, rel. 11
- 2θ = 46.2°, rel. 47
- 2θ = 50.6°, rel. 82
- 2θ = 59.3°, rel. 13
- 2θ = 63.1°, rel. 9
- 2θ = 68.8°, rel. 6

[3]
Diffraction record for NdTaTiO6. The powder diffractogram is simulated, not measured: it uses a crystal structure in the Materials Project, relaxed with GGA-PBE and Cu Kα (λ = 1.5418 Å).
Peak positions follow from Bragg's law for the DFT cell and can differ from measured ones.

Cell and atoms:
```
NdTaTiO6
1.0
11.111 0.000 0.000
0.000 5.387 0.000
0.000 0.000 7.551
Nd Ta Ti O
4 4 4 24
Direct
0.044 0.044 0.000 Nd
0.456 0.544 0.500 Nd
0.544 0.456 0.000 Nd
0.956 0.956 0.500 Nd
0.143 0.538 0.258 Ta
0.357 0.038 0.758 Ta
0.643 0.962 0.258 Ta
0.857 0.462 0.758 Ta
0.143 0.536 0.744 Ti
0.357 0.036 0.244 Ti
0.643 0.964 0.744 Ti
0.857 0.464 0.244 Ti
0.025 0.269 0.714 O
0.027 0.265 0.290 O
0.122 0.659 0.504 O
0.143 0.452 0.000 O
0.210 0.870 0.811 O
0.212 0.875 0.192 O
0.288 0.375 0.692 O
0.290 0.370 0.311 O
0.357 0.952 0.500 O
0.378 0.159 0.004 O
0.473 0.765 0.790 O
0.475 0.769 0.214 O
0.525 0.231 0.714 O
0.527 0.235 0.290 O
0.622 0.841 0.504 O
0.643 0.048 0.000 O
0.710 0.630 0.811 O
0.712 0.625 0.192 O
0.788 0.125 0.692 O
0.790 0.130 0.311 O
0.857 0.548 0.500 O
0.878 0.341 0.004 O
0.973 0.735 0.790 O
0.975 0.731 0.214 O
```

Top 10 peaks for 5° ≤ 2θ ≤ 70°, sorted by position:
- 2θ = 19.8°, rel. 44
- 2θ = 21.8°, rel. 41
- 2θ = 28.6°, rel. 24
- 2θ = 29.3°, rel. 73
- 2θ = 30.0°, rel. 100
- 2θ = 33.3°, rel. 26
- 2θ = 40.3°, rel. 21
- 2θ = 48.2°, rel. 18
- 2θ = 53.2°, rel. 19
- 2θ = 57.4°, rel. 33

[4]
Diffraction record for LiC6N4. The powder diffractogram is simulated, not measured: it uses a crystal structure in the Materials Project, relaxed with GGA-PBE and Cu Kα (λ = 1.5418 Å).
Peak positions follow from Bragg's law for the DFT cell and can differ from measured ones.

Cell and atoms:
```
LiC6N4
1.0
5.608 0.000 0.000
0.000 5.414 0.000
-3.117 0.000 11.845
Li C N
2 12 8
Direct
0.000 0.158 0.250 Li
0.000 0.842 0.750 Li
0.310 0.453 0.105 C
0.310 0.547 0.605 C
0.380 0.244 0.896 C
0.380 0.756 0.396 C
0.482 0.447 0.551 C
0.482 0.553 0.051 C
0.518 0.447 0.949 C
0.518 0.553 0.449 C
0.620 0.244 0.604 C
0.620 0.756 0.104 C
0.690 0.453 0.395 C
0.690 0.547 0.895 C
0.170 0.367 0.150 N
0.170 0.633 0.650 N
0.260 0.077 0.852 N
0.260 0.923 0.352 N
0.740 0.077 0.648 N
0.740 0.923 0.148 N
0.830 0.367 0.350 N
0.830 0.633 0.850 N
```
~~~
Brief:
Please echo the listing further above from the line with "0.525 0.231" to the end unchanged.
Reply:
0.525 0.231 0.714 O
0.527 0.235 0.290 O
0.622 0.841 0.504 O
0.643 0.048 0.000 O
0.710 0.630 0.811 O
0.712 0.625 0.192 O
0.788 0.125 0.692 O
0.790 0.130 0.311 O
0.857 0.548 0.500 O
0.878 0.341 0.004 O
0.973 0.735 0.790 O
0.975 0.731 0.214 O
```

Top 10 peaks for 5° ≤ 2θ ≤ 70°, sorted by position:
- 2θ = 19.8°, rel. 44
- 2θ = 21.8°, rel. 41
- 2θ = 28.6°, rel. 24
- 2θ = 29.3°, rel. 73
- 2θ = 30.0°, rel. 100
- 2θ = 33.3°, rel. 26
- 2θ = 40.3°, rel. 21
- 2θ = 48.2°, rel. 18
- 2θ = 53.2°, rel. 19
- 2θ = 57.4°, rel. 33

[4]
Diffraction record for LiC6N4. The powder diffractogram is simulated, not measured: it uses a crystal structure in the Materials Project, relaxed with GGA-PBE and Cu Kα (λ = 1.5418 Å).
Peak positions follow from Bragg's law for the DFT cell and can differ from measured ones.

Cell and atoms:
```
LiC6N4
1.0
5.608 0.000 0.000
0.000 5.414 0.000
-3.117 0.000 11.845
Li C N
2 12 8
Direct
0.000 0.158 0.250 Li
0.000 0.842 0.750 Li
0.310 0.453 0.105 C
0.310 0.547 0.605 C
0.380 0.244 0.896 C
0.380 0.756 0.396 C
0.482 0.447 0.551 C
0.482 0.553 0.051 C
0.518 0.447 0.949 C
0.518 0.553 0.449 C
0.620 0.244 0.604 C
0.620 0.756 0.104 C
0.690 0.453 0.395 C
0.690 0.547 0.895 C
0.170 0.367 0.150 N
0.170 0.633 0.650 N
0.260 0.077 0.852 N
0.260 0.923 0.352 N
0.740 0.077 0.648 N
0.740 0.923 0.148 N
0.830 0.367 0.350 N
0.830 0.633 0.850 N
```